Sunday, March 14, 2010

Getting Organized with The Can Organizer!

Since you have now seen my food storage...I thought I'd tell you where the can organizers/rotation systems came from!!

I don't know if you noticed them in the pictures of my pantry in my kitchen, but they are awesome! They fit lots of cans of our favorite 'staples' and it leaves my other shelves where my second half of my 3 month supply is, more room for more food:)

They were purchased from The Can Organizer website:

They are a steal compared to others that are made, and I also feel as though they are worth the money to just get them all ready to put together (which is super fast) than getting the supplies, and taking the time to do it yourself...aka, having your husband do it himself, lol.

I ordered the cupboard size, which are shorter than the pantry size because my shelves are not very wide, and they fit perfectly.

My Food Storage Pics

It's been awhile since I've posted anything! I am getting use to my new calling as stake home storage specialist, so I don't get on too much now:)

I thought I'd share a few pictures with you! It's kind of embarrassing for me to share my personal pics, but I have A LOT of people ask me to see MY food storage, so I thought I'd share a few pictures. For a couple of reasons:
1..I believe anyone can find somewhere to store their food and supplies
2..It's not as fancy as everyone thinks:)
3..Having a picture in your mind helps you picture your own food supply in your home and it doesn't seem so scary.
Here is my pantry/closet in my kitchen (which is tiny!)
As you can see, I use my containers we had an order for, quite a bit! I use them for some of my cereal, and also for my opened pouches/cans of beans, pancake mix, wheat, rice, apple slices, etc.

Here is the other half of my 3 month supply..

Misplaced records of molecules =
-- begin --
Entry 1:
Entry from the OMol25 dataset: a structure of composition C8H8Cl2CoLuN2O3 in a non-equilibrium geometry (ωB97M-V/def2-TZVPD).

Computed properties:
Frontier orbital gap (alpha / beta) ... 8.323 / 6.183 eV
Relative energy (zero: lowest compared OMol25 entry of this formula, charge and spin) ... 0.00 kcal per mole
HOMO energy (alpha / beta) ... -24.99 / -24.90 eV
LUMO (alpha / beta) ... -16.7 / -18.7 eV
Total charge ... +4
Multiplicity ... 5
F_max ... 12.983 eV Å⁻¹
<S²> ... 6.02

Element x y z (Å)
1 Lu -2.52145 -1.70028 1.40217
2 Cl -2.85612 -0.94875 -0.89268
3 C 1.63436 1.82428 -1.49755
4 H 0.88847 -2.25779 -1.89632
5 H 1.42892 3.95212 -1.47329
6 C 1.94034 0.54496 -1.95733
7 N 0.90016 1.64793 -0.39050
8 Cl -0.30064 -2.42663 2.67792
9 H 0.53280 2.39726 0.19856
10 H 2.42938 -2.19312 -0.98499
11 C 1.36848 -0.36836 -1.08133
12 O 0.98223 0.87464 3.55901
13 C 0.48176 0.49350 2.56006
14 H 2.52147 0.32685 -2.83000
15 C 1.91019 3.16084 -2.06552
16 C -3.78566 -2.43334 3.36336
17 N 0.69098 0.31999 -0.11080
18 O -5.89786 -1.01886 0.89356
19 H 1.50730 3.19765 -3.08483
20 Co 0.07336 -0.67784 1.31627
21 O -4.38247 -2.76773 4.29719
22 C -4.83437 -1.28219 1.24653
23 C 1.39756 -1.82791 -1.02730
24 H 2.98944 3.36743 -2.10898
25 H 0.90137 -2.20465 -0.11322

Forces on the atoms, in the same order (eV/Å):
Lu -1.7 -1.3 -0.8
Cl 1.1 -0.3 1.5
C -1.3 3.3 1.6
H 0.1 -0.1 -0.1
H 0.2 -0.2 -0.2
C 1.4 -0.6 -2.0
N 0.7 1.0 -1.0
Cl -0.7 0.7 -0.9
H 0.0 -0.1 -0.2
H 0.1 -0.1 -0.2
C -2.2 -0.7 3.0
O -3.2 -2.1 -6.4
C 4.5 5.6 10.8
H 0.3 -0.2 -0.5
C -0.3 -0.1 0.7
C -2.9 -2.2 5.7
N 1.9 -0.5 -3.3
O 4.5 -1.2 1.8
H 0.2 0.0 -0.2
Co 0.4 -3.7 -1.9
O 2.9 1.7 -4.7
C -5.8 1.7 -2.3
C 0.1 -0.2 0.1
H 0.0 -0.2 -0.2
H 0.0 -0.1 -0.2

Entry 2:
Entry from the OMol25 dataset: the molecule C4H5Cl2FS in a non-equilibrium geometry (ωB97M-V/def2-TZVPD).

Computed properties:
Frontier orbital gap ... 10.098 eV
Relative energy (zero: lowest compared OMol25 entry of this formula, charge and spin) ... 6.89 kcal per mole
HOMO energy ... -9.48 eV
LUMO ... 0.6 eV
SMILES ... F/C=C(/CS)C(Cl)Cl
F_max ... 1.328 eV Å⁻¹

Element x y z (Å)
1 H -0.52429 -1.52167 0.89326
2 S 2.41594 -0.71204 -0.16576
3 H 0.00236 2.25889 -1.07099
4 Cl -1.36222 -1.82748 -1.25375
5 F -1.76205 1.34147 -1.46535
6 Cl -2.57254 -0.42470 1.01968
7 H 1.76378 -1.86107 -0.04572
8 H 1.08379 0.15821 1.66713
9 C -0.18152 0.34496 -0.06219
10 C -0.58405 1.33449 -0.86327
11 H 1.59220 1.37549 0.53841
12 C 1.17370 0.38364 0.59060
13 C -1.04509 -0.85018 0.21795

Forces on the atoms, in the same order (eV/Å):
H -0.1 0.0 0.0
S 0.3 0.4 -0.1
H -0.4 -0.9 0.2
Cl 0.0 0.1 0.1
F -0.3 -0.1 -0.2
Cl 0.0 0.0 0.0
H -0.3 -0.3 0.1
H 0.0 0.0 -0.4
C -0.2 0.5 -0.5
C 1.1 0.5 0.5
H 0.2 0.3 -0.2
C -0.5 -0.4 0.5
C 0.2 -0.2 -0.2

Entry 3:
Entry from the OMol25 dataset: a cluster of 2 separate species, C2H4NO2 in total in a non-equilibrium geometry (ωB97M-V/def2-TZVPD).

Computed properties:
Frontier orbital gap ... 9.151 eV
-- stop --
So much for the records of molecules =

I use the food from my pantry first, then 'shop' on these shelves before going to the long term storage. Every time I use something and take it from my storage, I still put it on my grocery list, so I can try to stay stocked.

Here is my 'long term' supply of food.
I have a wide variety of food, most of what they have available at the cannery, and also, oil, salt, honey, fruits, cheeses, veggies, etc. Also on top of the pouches you will find my food storage binder (which I think is a must) and all of our 72 hour food kits.

Ever since my sister came to live with us, we haven't had a bedroom set because we gave it to her to use, so along our room wall has been the perfect spot for our food:) It may not look like a nice dresser with a sweet looking mirror that I eventually would love to have, but I feel so happy every night and morning when I get to go to sleep and wake up knowing we will be prepared as much as we can, for whatever may come our way.

It really doesn't take up too much room, right?!! I feel ok with keeping it covered because I have a container in the pantry with all the same food items, but I just keep what I am using in the kitchen. Plus, my children like to try to climb the 'mountain' of food, lol, so it's best if covered!

I know I am sorta geeky, but I also, for my use only, have made a layout, if you will, of my long term food items. It helps me know where to find things when I need them and it gives me a good idea of what I need to use up first.

I just numbered the stacks at the top...the rectangles are my stacks of pouches (two rows deep) and the circles are my buckets (two rows deep). I also keep track of when I pack them by putting the date below the product. I also put all the other random stuff I have there in cans and such, on the list of items in the big rectangle. It looks pretty sloppy, but just as I can make sense of the mess, lol.

To help stay organized, I also have a spreadsheet with the following information: Item of food/supply/water, how much/weight, and I have each item split up by how it is packed (# of pouches, buckets, cans, or original container). I tried to post that too, but couldn't:)

Well, that's it! I am still working on my food storage for my family. Right now I'd say I have plenty for how much my family eats right now, but as my children grow, I will need to get more. It's a lot of work, but so worth the effort!! Good luck with your own food storage!